********
# Li6CuF8
Computed X-ray powder pattern, Cu Kα (λ = 1.5418 Å). Input: a DFT-relaxed cell (PBE, Alexandria).
Intensities are scaled so that the largest is 100.

Structure:
```
data_Li6CuF8
_space_group_name_H-M_alt 'P 1'
_space_group_IT_number 1
_cell_length_a 5.831
_cell_length_b 5.831
_cell_length_c 5.950
_cell_angle_alpha 117.00
_cell_angle_beta 117.00
_cell_angle_gamma 58.60
loop_
_space_group_symop_operation_xyz
'x,y,z'
loop_
_atom_site_label
_atom_site_type_symbol
_atom_site_fract_x
_atom_site_fract_y
_atom_site_fract_z
_atom_site_occupancy
Li1 Li 0.000 0.000 0.000 1
Li2 Li 0.000 0.500 0.000 1
Li3 Li 0.155 0.155 0.467 1
Li4 Li 0.500 0.000 0.000 1
Li5 Li 0.500 0.500 0.000 1
Li6 Li 0.845 0.845 0.533 1
Cu1 Cu 0.500 0.500 0.500 1
F1 F 0.222 0.222 0.221 1
F2 F 0.255 0.744 0.268 1
F3 F 0.256 0.745 0.732 1
F4 F 0.280 0.280 0.818 1
F5 F 0.720 0.720 0.182 1
F6 F 0.744 0.255 0.268 1
F7 F 0.745 0.256 0.732 1
F8 F 0.778 0.778 0.779 1
```

Main lines, low angle first (2θ from 10° to 90°):
| Position (°2θ) | I_rel |
| --- | --- |
| 18.60 | 82.1 |
| 18.74 | 42.4 |
| 20.46 | 37.3 |
| 21.61 | 58.1 |
| 30.71 | 36.3 |
| 41.60 | 53.6 |
| 44.03 | 100.0 |
| 63.95 | 42.7 |

~~~~~

Theoretical X-ray diffraction stick pattern of Sr2AlPbSe5 for CuKα, from a DFT-relaxed cell (PBE, Alexandria).
Peak positions follow from Bragg's law for the DFT cell and can differ from measured ones.

Crystal structure
Cell lengths 4.118, 18.714, 13.160 Å; angles 90.00, 90.00, 90.00 degrees
Space group Cmc2_1 (No. 36)
Asymmetric unit:
Sr: 0.000 0.112 0.000 (multiplicity 4)
Sr: 0.000 0.123 0.652 (multiplicity 4)
Al: 0.000 0.448 0.737 (multiplicity 4)
Pb: 0.000 0.206 0.358 (multiplicity 4)
Se: 0.000 0.028 0.337 (multiplicity 4)
Se: 0.000 0.284 0.014 (multiplicity 4)
Se: 0.000 0.323 0.688 (multiplicity 4)
Se: 0.000 0.355 0.328 (multiplicity 4)
Se: 0.000 0.493 0.078 (multiplicity 4)

Top 8 peaks for 10 to 80 degrees two-theta, by intensity:
2θ/deg  I/Imax  (hkl)
30.1  100.0  1 1 3
35.2  56.0  1 5 2
29.4  44.2  0 6 1
42.6  22.7  1 5 4
44.0  20.6  2 0 0
53.8  17.6  2 6 1
49.2  16.4  1 7 4
16.5  15.3  0 2 2

=====

Theoretical X-ray diffraction stick pattern of La8CeNd5 for CuKα, from a DFT-relaxed cell (PBE, Alexandria).
Peak positions follow from Bragg's law for the DFT cell and can differ from measured ones.

Crystal structure
Cell lengths 8.708, 8.718, 8.751 Å; angles 112.86, 114.70, 100.80 degrees
Space group P1 (No. 1)
Asymmetric unit:
La: 0.000 0.000 0.000 (multiplicity 1)
La: 0.001 0.622 0.208 (multiplicity 1)
La: 0.183 0.079 0.684 (multiplicity 1)
La: 0.201 0.691 0.900 (multiplicity 1)
La: 0.334 0.489 0.217 (multiplicity 1)
La: 0.489 0.860 0.725 (multiplicity 1)
La: 0.587 0.206 0.216 (multiplicity 1)
La: 0.600 0.500 0.690 (multiplicity 1)
Ce: 0.531 0.406 0.950 (multiplicity 1)
Nd: 0.089 0.347 0.444 (multiplicity 1)
Nd: 0.381 0.015 0.399 (multiplicity 1)
Nd: 0.724 0.879 0.218 (multiplicity 1)
Nd: 0.811 0.677 0.495 (multiplicity 1)
Nd: 0.860 0.232 0.719 (multiplicity 1)

Top 8 peaks for 10 to 80 degrees two-theta, by intensity:
2θ/deg  I/Imax  (hkl)
30.9  100.0  1 1 -3
32.2  82.5  0 3 -2
30.0  52.8  2 -2 1
28.9  46.4  -1 2 1
33.6  44.4  -3 1 2
25.9  33.6  2 1 -1
31.8  19.9  1 2 0
52.0  17.4  1 -3 4

=====

Theoretical X-ray diffraction stick pattern of Hf6ZrAl for CuKα, from a DFT-relaxed cell (PBE, Alexandria).
Peak positions follow from Bragg's law for the DFT cell and can differ from measured ones.

Crystal structure
Cell lengths 4.256, 8.964, 9.056 Å; angles 90.00, 90.00, 90.00 degrees
Space group Amm2 (No. 38)
Asymmetric unit:
Hf: 0.000 0.000 0.000 (multiplicity 2)
Hf: 0.000 0.244 0.752 (multiplicity 4)
Hf: 0.500 0.000 0.249 (multiplicity 2)
Hf: 0.500 0.248 0.003 (multiplicity 4)
Zr: 0.000 0.000 0.505 (multiplicity 2)
Al: 0.500 0.000 0.753 (multiplicity 2)

Top 8 peaks for 10 to 80 degrees two-theta, by intensity:
2θ/deg  I/Imax  (hkl)
35.2  100.0  1 2 2
39.8  17.8  0 0 4
40.2  17.2  0 4 0
42.5  15.8  2 0 0
69.3  14.2  1 2 6
69.9  13.5  1 6 2
73.0  12.1  3 2 2
********

Duplicate all of the contents above word for word, please.

# Li6CuF8
Computed X-ray powder pattern, Cu Kα (λ = 1.5418 Å). Input: a DFT-relaxed cell (PBE, Alexandria).
Intensities are scaled so that the largest is 100.

Structure:
```
data_Li6CuF8
_space_group_name_H-M_alt 'P 1'
_space_group_IT_number 1
_cell_length_a 5.831
_cell_length_b 5.831
_cell_length_c 5.950
_cell_angle_alpha 117.00
_cell_angle_beta 117.00
_cell_angle_gamma 58.60
loop_
_space_group_symop_operation_xyz
'x,y,z'
loop_
_atom_site_label
_atom_site_type_symbol
_atom_site_fract_x
_atom_site_fract_y
_atom_site_fract_z
_atom_site_occupancy
Li1 Li 0.000 0.000 0.000 1
Li2 Li 0.000 0.500 0.000 1
Li3 Li 0.155 0.155 0.467 1
Li4 Li 0.500 0.000 0.000 1
Li5 Li 0.500 0.500 0.000 1
Li6 Li 0.845 0.845 0.533 1
Cu1 Cu 0.500 0.500 0.500 1
F1 F 0.222 0.222 0.221 1
F2 F 0.255 0.744 0.268 1
F3 F 0.256 0.745 0.732 1
F4 F 0.280 0.280 0.818 1
F5 F 0.720 0.720 0.182 1
F6 F 0.744 0.255 0.268 1
F7 F 0.745 0.256 0.732 1
F8 F 0.778 0.778 0.779 1
```

Main lines, low angle first (2θ from 10° to 90°):
| Position (°2θ) | I_rel |
| --- | --- |
| 18.60 | 82.1 |
| 18.74 | 42.4 |
| 20.46 | 37.3 |
| 21.61 | 58.1 |
| 30.71 | 36.3 |
| 41.60 | 53.6 |
| 44.03 | 100.0 |
| 63.95 | 42.7 |

~~~~~

Theoretical X-ray diffraction stick pattern of Sr2AlPbSe5 for CuKα, from a DFT-relaxed cell (PBE, Alexandria).
Peak positions follow from Bragg's law for the DFT cell and can differ from measured ones.

Crystal structure
Cell lengths 4.118, 18.714, 13.160 Å; angles 90.00, 90.00, 90.00 degrees
Space group Cmc2_1 (No. 36)
Asymmetric unit:
Sr: 0.000 0.112 0.000 (multiplicity 4)
Sr: 0.000 0.123 0.652 (multiplicity 4)
Al: 0.000 0.448 0.737 (multiplicity 4)
Pb: 0.000 0.206 0.358 (multiplicity 4)
Se: 0.000 0.028 0.337 (multiplicity 4)
Se: 0.000 0.284 0.014 (multiplicity 4)
Se: 0.000 0.323 0.688 (multiplicity 4)
Se: 0.000 0.355 0.328 (multiplicity 4)
Se: 0.000 0.493 0.078 (multiplicity 4)

Top 8 peaks for 10 to 80 degrees two-theta, by intensity:
2θ/deg  I/Imax  (hkl)
30.1  100.0  1 1 3
35.2  56.0  1 5 2
29.4  44.2  0 6 1
42.6  22.7  1 5 4
44.0  20.6  2 0 0
53.8  17.6  2 6 1
49.2  16.4  1 7 4
16.5  15.3  0 2 2

=====

Theoretical X-ray diffraction stick pattern of La8CeNd5 for CuKα, from a DFT-relaxed cell (PBE, Alexandria).
Peak positions follow from Bragg's law for the DFT cell and can differ from measured ones.

Crystal structure
Cell lengths 8.708, 8.718, 8.751 Å; angles 112.86, 114.70, 100.80 degrees
Space group P1 (No. 1)
Asymmetric unit:
La: 0.000 0.000 0.000 (multiplicity 1)
La: 0.001 0.622 0.208 (multiplicity 1)
La: 0.183 0.079 0.684 (multiplicity 1)
La: 0.201 0.691 0.900 (multiplicity 1)
La: 0.334 0.489 0.217 (multiplicity 1)
La: 0.489 0.860 0.725 (multiplicity 1)
La: 0.587 0.206 0.216 (multiplicity 1)
La: 0.600 0.500 0.690 (multiplicity 1)
Ce: 0.531 0.406 0.950 (multiplicity 1)
Nd: 0.089 0.347 0.444 (multiplicity 1)
Nd: 0.381 0.015 0.399 (multiplicity 1)
Nd: 0.724 0.879 0.218 (multiplicity 1)
Nd: 0.811 0.677 0.495 (multiplicity 1)
Nd: 0.860 0.232 0.719 (multiplicity 1)

Top 8 peaks for 10 to 80 degrees two-theta, by intensity:
2θ/deg  I/Imax  (hkl)
30.9  100.0  1 1 -3
32.2  82.5  0 3 -2
30.0  52.8  2 -2 1
28.9  46.4  -1 2 1
33.6  44.4  -3 1 2
25.9  33.6  2 1 -1
31.8  19.9  1 2 0
52.0  17.4  1 -3 4

=====

Theoretical X-ray diffraction stick pattern of Hf6ZrAl for CuKα, from a DFT-relaxed cell (PBE, Alexandria).
Peak positions follow from Bragg's law for the DFT cell and can differ from measured ones.

Crystal structure
Cell lengths 4.256, 8.964, 9.056 Å; angles 90.00, 90.00, 90.00 degrees
Space group Amm2 (No. 38)
Asymmetric unit:
Hf: 0.000 0.000 0.000 (multiplicity 2)
Hf: 0.000 0.244 0.752 (multiplicity 4)
Hf: 0.500 0.000 0.249 (multiplicity 2)
Hf: 0.500 0.248 0.003 (multiplicity 4)
Zr: 0.000 0.000 0.505 (multiplicity 2)
Al: 0.500 0.000 0.753 (multiplicity 2)

Top 8 peaks for 10 to 80 degrees two-theta, by intensity:
2θ/deg  I/Imax  (hkl)
35.2  100.0  1 2 2
39.8  17.8  0 0 4
40.2  17.2  0 4 0
42.5  15.8  2 0 0
69.3  14.2  1 2 6
69.9  13.5  1 6 2
73.0  12.1  3 2 2